**Input:**
~~~
# 1
Formula: C3H3NO
Source: the OMol25 dataset
Level of theory: wB97M-V/def2-TZVPD

Each line ends with the Löwdin charge.
CARTESIAN COORDINATES (ANGSTROEM)
1 O 0.3456 -1.6778 0.0143  -0.146
2 C 0.8854 -0.4976 0.0530  -0.150
3 C -0.3731 1.8045 0.0251  0.146
4 C 0.0008 0.6459 0.0291  -0.145
5 N -0.9456 -1.8257 0.0295  0.063
6 H 1.9386 -0.5325 -0.2286  0.127
7 H -0.5581 2.8637 0.0469  0.045
8 H -1.2935 -0.7806 0.0307  0.061

Cartesian forces (eV/Å) of the 6 atoms listed first:
O 0.3 -0.9 0.0
C -0.3 1.3 -0.6
C 0.5 -0.5 0.0
C 1.7 0.7 0.1
N -1.6 1.5 0.1
H -0.4 0.5 0.4

Properties
HOMO level (spin up / spin down), eV: -8.31 / -9.20
Strongest force on any atom, eV/A: 2.222
Frontier orbital gap (spin up / spin down), eV: 8.28 / 8.80
Molar mass, g mol⁻¹: 69.063
DFT total energy, Ha: -245.87763
Total charge: 0


# 2
Formula: C3H3Cl2NS
Source: the OMol25 dataset
Level of theory: wB97M-V/def2-TZVPD

Each line ends with the Löwdin charge.
CARTESIAN COORDINATES (ANGSTROEM)
1 C 0.5323 -0.7969 0.9921  -0.389
2 C -0.5937 -0.1497 1.2282  -0.685
3 C 0.0581 0.6729 -1.6938  -0.935
4 N 0.8114 -1.4815 -0.1309  -0.390
5 S 0.5124 -0.9117 -1.5539  0.977
6 Cl -1.1109 0.8884 2.4930  0.597
7 Cl -0.1242 2.0118 -0.6563  0.664
8 H 1.2568 -1.1830 1.7688  0.130
9 H -1.1771 0.1029 0.3271  0.009
10 H -0.1650 0.8467 -2.7742  0.022

Cartesian forces (eV/Å) of the 6 atoms listed first:
C 1.3 -1.5 3.6
C -1.1 1.6 -1.7
C 0.0 -0.8 -1.7
N 0.2 -0.4 -2.8
S -0.3 1.1 0.9
Cl 0.4 -0.4 0.6

Properties
HOMO level (spin up / spin down), eV: -8.20 / -8.20
Strongest force on any atom, eV/A: 4.095
Frontier orbital gap (spin up / spin down), eV: 7.54 / 7.54
Molar mass, g mol⁻¹: 156.037
DFT total energy, Ha: -1489.31660
Total charge: 0


# 3
Formula: C6H16N2
Source: the OMol25 dataset
Level of theory: wB97M-V/def2-TZVPD

Each line ends with the Löwdin charge.
CARTESIAN COORDINATES (ANGSTROEM)
1 C 2.5103 0.8886 0.8763  -0.120
2 C 1.6659 0.9110 -0.3822  -0.191
3 C 2.0419 1.6074 -1.4693  -0.178
4 C 1.2090 1.7401 -2.7557  -0.111
5 H 1.9078 1.3971 1.6284  0.057
6 H 2.7769 -0.1074 1.2493  0.064
7 H 3.4479 1.5081 0.7670  0.082
8 H 0.7506 0.3052 -0.3657  0.072
9 H 3.0016 2.1747 -1.4845  0.102
10 H 0.4360 0.9765 -2.7601  0.063
11 H 1.8338 1.7422 -3.6432  0.057
12 H 0.7280 2.7252 -2.7823  0.065
13 N -2.1228 -3.1051 0.5202  -0.024
14 C -1.3844 -1.8793 0.8218  -0.328
15 C -2.3449 -0.7264 0.8737  -0.329
16 N -1.5381 0.4519 1.0814  -0.023
17 H -2.7224 -3.3700 1.2966  0.061
18 H -1.4707 -3.8735 0.3141  0.071
19 H -0.6872 -1.7029 -0.0240  0.109
20 H -0.7604 -1.9214 1.7516  0.115
21 H -2.8474 -0.6538 -0.1082  0.121
22 H -3.1069 -0.8752 1.6616  0.110
23 H -2.0674 1.3081 0.8687  0.080
24 H -1.2573 0.4790 2.0645  0.075

Cartesian forces (eV/Å) of the 6 atoms listed first:
C 0.3 0.9 -0.3
C 1.1 0.0 -0.7
C -0.3 0.0 -0.3
C 0.4 0.4 1.2
H 0.1 -0.1 0.4
H -0.2 0.2 -0.2

Properties
HOMO level, eV: -8.82
Strongest force on any atom, eV/A: 1.368
Frontier orbital gap, eV: 9.85
Molar mass, g mol⁻¹: 116.208
DFT total energy, Ha: -347.67448
Total charge: 0


# 4
Formula: C4H5I2NO2
Source: the OMol25 dataset
Level of theory: wB97M-V/def2-TZVPD

Each line ends with the Löwdin charge.
CARTESIAN COORDINATES (ANGSTROEM)
1 C -1.2044 -0.1300 -0.1383  -0.297
2 C -1.4497 -1.4281 -0.4949  -0.755
3 C 2.1501 0.1004 -0.5781  -0.550
4 C -0.4637 0.2238 0.9715  -0.053
5 N -0.0579 1.5515 1.1674  -0.436
6 O 0.6145 1.7848 2.1618  0.055
7 O -0.3657 2.3900 0.3335  0.045
8 I -2.6803 -1.9232 -2.1071  0.818
9 I 1.4200 -1.4623 -1.6478  0.949
10 H -1.5188 0.6744 -0.7915  0.108
11 H -1.2029 -2.2592 0.1482  0.030
12 H 2.1139 1.0797 -1.0104  -0.024
13 H 2.7798 -0.1245 0.2655  -0.026
14 H -0.1349 -0.4774 1.7203  0.135

Cartesian forces (eV/Å) of the 6 atoms listed first:
C -0.1 0.4 0.0
C -0.7 -0.1 0.1
C -0.3 -0.6 0.1
C -0.1 -1.3 -0.6
N 0.3 0.8 0.1
O 0.0 0.0 0.1

Properties
HOMO level (spin up / spin down), eV: -8.59 / -8.63
Strongest force on any atom, eV/A: 1.392
Frontier orbital gap (spin up / spin down), eV: 6.55 / 7.87
~~~
**Brief:**
Type out every line further above that contains the word "Properties".
**Here it is:**
Properties
Properties
Properties
Properties